### Activity
Now duplicate every line underneath that contains the word "Cu".

### Excerpt
____________
Calculated powder X-ray diffraction pattern of La3Ni4P4O2 for Cu Kα, from a GGA+U-relaxed structure.

Principal peaks in the range 2θ from 10° to 90°, sorted by position:
2θ (°)	Rel. int.
24.5	69.6
32.8	100.0
34.4	28.3
34.5	46.6
37.9	72.0
45.3	64.3
57.0	40.1
58.1	25.1

Structural model:
a b c (Å): 13.336 13.336 13.336
angles (deg): 162.72 162.72 24.54
Positions (direct):
1 La 0.000 0.000 0.000
2 La 0.298 0.298 0.000
3 La 0.702 0.702 0.000
4 Ni 0.092 0.592 0.500
5 Ni 0.408 0.908 0.500
6 Ni 0.592 0.092 0.500
7 Ni 0.908 0.408 0.500
8 P 0.131 0.131 0.000
9 P 0.450 0.450 0.000
10 P 0.550 0.550 0.000
11 P 0.869 0.869 0.000
12 O 0.250 0.750 0.500
13 O 0.750 0.250 0.500

----------

The following is a computed powder diffractogram of Sr3MoN4. It was derived from a PBE-relaxed structure, using CuKα.

Atomic structure:
Cell: 17.9781 10.3716 9.9724 Å, 90.00 97.94 90.00°
Space group C2/c (No. 15)
Inequivalent atoms, fractional coordinates:
Sr 0.0000 0.0145 0.2500 [4 per cell]
Sr 0.0220 0.3390 0.5870 [8 per cell]
Sr 0.1543 0.2342 0.0993 [8 per cell]
Sr 0.1776 0.1275 0.4545 [8 per cell]
Sr 0.1849 0.4644 0.7983 [8 per cell]
Mo 0.0000 0.3343 0.2500 [4 per cell]
Mo 0.1756 0.1482 0.7878 [8 per cell]
N 0.0509 0.2215 0.3777 [8 per cell]
N 0.0651 0.4336 0.1560 [8 per cell]
N 0.0974 0.2540 0.8367 [8 per cell]
N 0.1392 0.0022 0.6910 [8 per cell]
N 0.2343 0.2487 0.6835 [8 per cell]
N 0.2397 0.0946 0.9434 [8 per cell]

Principal peaks in the range 10 to 80 degrees two-theta, most intense first:
29.91 deg, d 2.987, intensity 100.0, (3 3 0); 30.42 deg, d 2.938, intensity 59.0, (3 1 -3); 30.11 deg, d 2.968, intensity 56.4, (6 0 0); 34.02 deg, d 2.635, intensity 50.1, (3 1 3); 32.21 deg, d 2.779, intensity 28.6, (0 2 3); 17.96 deg, d 4.938, intensity 19.7, (0 0 2); 17.21 deg, d 5.151, intensity 19.2, (3 1 0); 23.41 deg, d 3.800, intensity 16.2, (3 1 -2); 28.80 deg, d 3.099, intensity 15.0, (4 0 2); 44.48 deg, d 2.037, intensity 14.2, (0 4 3); 41.86 deg, d 2.158, intensity 14.0, (6 2 -3); 51.24 deg, d 1.783, intensity 13.7, (9 1 -3)

----------

Computed PXRD pattern
Compound: Pb2Au5O6
Radiation: Cu Kα, 1.54184 Å
Structure: a crystal structure in OQMD, relaxed with PBE
Lines closer than 0.1° are merged.

Atomic structure:
```
data_Pb2Au5O6
_space_group_name_H-M_alt 'P -3 1 m'
_space_group_IT_number 162
_space_group_name_Hall '-P 3 2'
_cell_length_a 6.0371
_cell_length_b 6.0371
_cell_length_c 6.4498
_cell_angle_alpha 90.00
_cell_angle_beta 90.00
_cell_angle_gamma 120.00
loop_
_atom_site_label
_atom_site_fract_x
_atom_site_fract_y
_atom_site_fract_z
Pb1 0.3333 0.6667 0.0000
Au1 0.0000 0.0000 0.2794
Au2 0.0000 0.5000 0.5000
O1 0.0000 0.3781 0.8040
```

Main lines, in order of rising 2θ (10° ≤ 2θ ≤ 90°):
- 2θ 29.6, 3.019 Å, intensity 35, (1 1 0)
- 2θ 32.6, 2.745 Å, intensity 100, (1 0 2)
- 2θ 32.8, 2.734 Å, intensity 47, (1 1 1)
- 2θ 34.3, 2.614 Å, intensity 51, (2 0 0)
- 2θ 37.1, 2.423 Å, intensity 91, (2 0 1)
- 2θ 52.2, 1.751 Å, intensity 34, (2 -1 3)
- 2θ 54.5, 1.684 Å, intensity 62, (2 1 2)
- 2θ 61.4, 1.509 Å, intensity 27, (2 2 0)
- 2θ 71.3, 1.323 Å, intensity 21, (4 -1 2)
- 2θ 86.6, 1.124 Å, intensity 22, (5 -2 2)


Computed PXRD pattern
Compound: Lu2Zr4Au3C3
Radiation: Cu Kα, 1.54184 Å
Structure: a crystal structure in OQMD, relaxed with PBE
Lines closer than 0.1° are merged.

Atomic structure:
```
data_Lu2Zr4Au3C3
_space_group_name_H-M_alt 'C 1 2/c 1'
_space_group_IT_number 15
_cell_length_a 10.173
_cell_length_b 5.873
_cell_length_c 14.749
_cell_angle_alpha 90.00
_cell_angle_beta 103.61
_cell_angle_gamma 90.00
loop_
_space_group_symop_operation_xyz
'x,y,z'
'-x,-y,-z'
'-x,y,-z+1/2'
'x,-y,z+1/2'
'x+1/2,y+1/2,z'
'-x+1/2,-y+1/2,-z'
'-x+1/2,y+1/2,-z+1/2'
'x+1/2,-y+1/2,z+1/2'
loop_
_atom_site_label
_atom_site_fract_x
_atom_site_fract_y
_atom_site_fract_z
Lu1 0.044 0.081 0.392
Zr1 0.112 0.409 0.584
Zr2 0.226 0.419 0.916
Au1 0.000 0.497 0.250
Au2 0.205 0.120 0.749
C1 0.086 0.257 0.000
C2 0.250 0.250 0.500
```
____________

### Here it is
Calculated powder X-ray diffraction pattern of La3Ni4P4O2 for Cu Kα, from a GGA+U-relaxed structure.
Radiation: Cu Kα, 1.54184 Å
Radiation: Cu Kα, 1.54184 Å